- Realtor Packages: Photos are released within 24hrs., however most often on the same day of the appointment (evening). iGUIDE Floor Plans are released by end of next business day (before midnight (except if shot on Saturday, all iGUIDE tours will be ready on Monday). Matterport Virtual Tours are sent within 24hrs, if a Floor Plan add-on package has been ordered, the Matterport Floor Plans component will be ready within 2 business days. Videos are released within 2 to 3 business days.
- Prices are based on homes 2500 sq. ft. or less. Larger properties are subject to additional charges. ***For iGUIDE and Matterport Packages, pricing includes capturing, measuring and drafting of homes up to 2500 sq ft. PLEASE NOTE that the total amount of Square Feet (SQ.FT.) listed on the order form will be verified against the actual amount we measure. SQ. FT. is calculated based on the total amount measured by our photographer including measurements taken in basements and additional buildings (when applicable). If the total SQ FT measured ends up being over the amount listed in the order form, the difference will be invoiced back to you.
- Our rates do not include waiting time if the property is not 100% Show Ready by the time the photographer arrives on site.
== Misplaced crystal structures ==
=====
# GdMnGe
Theoretical X-ray powder pattern, Cu Kα, 1.54184 Å. Input: the PBE geometry in the Materials Project.
No peak broadening, texture or thermal motion is included.

Main lines, by intensity (10° ≤ 2θ ≤ 90°):
two_theta, intensity
36.21, 100
34.51, 92
35.77, 43
46.79, 31
40.83, 25
25.46, 24
33.82, 21
65.64, 19

Structure:
```
GdMnGe
1.0
7.0358 0.0000 0.0000
0.0000 3.8833 0.0000
0.0000 0.0000 8.0622
Gd Mn Ge
4 4 4
Cartesian
0.1582 0.9708 1.4430
3.3597 2.9125 5.4741
3.6761 0.9708 2.5881
6.8775 2.9125 6.6192
0.8507 0.9708 4.4843
2.6672 2.9125 0.4532
4.3686 0.9708 7.6089
6.1850 2.9125 3.5779
1.5505 2.9125 3.1416
1.9674 0.9708 7.1727
5.0684 2.9125 0.8895
5.4853 0.9708 4.9206
```

---

# Gd2Nb3Ge4
Theoretical X-ray powder pattern, Cu Kα, 1.54184 Å. Input: the PBE geometry in the Materials Project.
No peak broadening, texture or thermal motion is included.

Main lines, by intensity (10° ≤ 2θ ≤ 90°):
two_theta, intensity
34.21, 100
34.55, 96
40.41, 55
36.27, 52
40.17, 31
39.70, 25
38.85, 23
61.56, 22

Structure:
```
Gd2Nb3Ge4
1.0
7.0423 0.0000 0.0000
0.0000 13.6211 0.0000
0.0000 0.0000 7.2143
Gd Nb Ge
8 12 16
Cartesian
0.0140 1.2938 1.2464
0.0140 5.5167 1.2464
3.5071 8.1044 4.8536
3.5071 12.3272 4.8536
3.5352 1.2938 2.3608
3.5352 5.5167 2.3608
7.0282 8.1044 5.9679
7.0282 12.3272 5.9679
1.1305 8.5379 2.3683
1.1305 11.8937 2.3683
1.1567 3.4053 3.6989
2.3644 10.2158 0.0918
2.3906 1.7273 5.9755
2.3906 5.0832 5.9755
4.6517 8.5379 1.2389
4.6517 11.8937 1.2389
4.6779 3.4053 7.1225
5.8855 10.2158 3.5154
5.9117 1.7273 4.8460
5.9117 5.0832 4.8460
0.2756 3.4053 6.3215
1.2094 0.5758 3.8933
1.2094 6.2347 3.8933
1.3755 10.2158 4.5768
2.1456 3.4053 0.9696
2.3117 7.3863 0.2861
2.3117 13.0453 0.2861
3.2455 10.2158 2.7143
3.7967 3.4053 4.5000
4.7305 0.5758 6.9282
4.7305 6.2347 6.9282
4.8966 10.2158 6.2447
5.6668 3.4053 2.6375
5.8328 7.3863 3.3210
5.8328 13.0453 3.3210
6.7666 10.2158 0.8928
```

---

# GdNi2Ge2
Theoretical X-ray powder pattern, Cu Kα, 1.54184 Å. Input: the PBE geometry in the Materials Project.
No peak broadening, texture or thermal motion is included.

Main lines, by intensity (10° ≤ 2θ ≤ 90°):
two_theta, intensity
34.90, 100
35.98, 99
44.35, 67
57.65, 47
30.96, 29
51.17, 29
70.00, 22
64.53, 21

Structure:
```
GdNi2Ge2
1.0
-2.0424 2.0424 4.9614
2.0424 -2.0424 4.9614
2.0424 2.0424 -4.9614
Gd Ni Ge
1 2 2
Cartesian
0.0000 0.0000 0.0000
2.0424 0.0000 2.4807
0.0000 2.0424 2.4807
0.0000 0.0000 3.6851
0.0000 0.0000 6.2376
```

---

# Gd2GeO5
Theoretical X-ray powder pattern, Cu Kα, 1.54184 Å. Input: the PBE geometry in the Materials Project.
No peak broadening, texture or thermal motion is included.

Main lines, by intensity (10° ≤ 2θ ≤ 90°):
two_theta, intensity
31.18, 100
29.43, 71
28.85, 63
32.56, 61
47.02, 55
28.36, 54
30.87, 51
51.15, 29

Structure:
```
Gd2GeO5
1.0
9.4228 0.0000 0.0000
0.0000 7.1423 0.0000
-1.7775 0.0000 6.6621
Gd Ge O
8 4 20
Cartesian
-0.1661 0.9092 1.5388
-1.0549 2.6620 4.8699
3.3679 0.9690 0.2896
2.4791 2.6021 3.6207
=====
- If a property is tenanted, you MUST be on site to facilitate the appointment.
- Rates to go outside of main city limits will be quoted on a per job basis depending on distance to cover our time and expenses.
- If you are looking for specific angles or details of the home to be taken, these need to be communicated to us prior to our arrival on site so that we can let our photographers know. If we do not have specific instructions, we will leave it up to the photographer’s discretion to decide which images they feel is important for the marketing of the home. This could differ from what you may have in mind.
- All Pets need to be put away. We always try to ensure they’re hidden from our photos, but we are not responsible if a pet gets into the images by accident. For safety reasons, we do not touch or move pets.
- We do not take photos of the following: closets/walk-in closets, unfinished basements, laundry rooms, utility rooms, cold storage rooms, toilets, interiors of sheds and garages, or “For Sale” signs, unless specifically requested.
- Showings and/or Open Houses should not be scheduled during the time of the tour as it disrupts the measuring and photographing process which will require additional time to complete.
- Realtor packages include High Res images provided in a 3000 px wide format as well as MLS size format.
- Virtual Tour online hosting is available for 1 year from the time of activation for both iGUIDE and PHOTO TOURS. MATTERPORT tours include an online hosting period of 3 months. MATTERPORT monthly fees apply after the 3 months period at a rate of $14.99 per month per tour if required to be live longer. The Virtual Tours are viewable online by the general public and are searchable by search engines for a minimum of 1 year, unless otherwise requested, by our client, to be hidden. It is the responsibility of our client to let us know if they would like to have this online visibility turned off on a per tour basis. It is also our client’s responsibility to let us know when the property has sold so that we can turn the virtual tour off.
- ***An After Hours Cancellation Fee of $50.00 will be charged for cancellations that are sent after 5:00 p.m. the day prior but before 8am on the day of a scheduled appointment.
- ***A Cancellation Fee/Non-Refundable Deposit of $85 for each hour the appointment was reserved for will be charged for appointments cancelled after 8am on the day of the appointment.
- ***A Cancellation Fee of 50% of the total package cost will be charged if cancelled after arriving on site.
- Weekend and Holiday appointments will incur a convenience fee of $25.
- For Aerial packages, we do not make any guarantees that these packages will be produced. Weather, location and safety reasons could cause the appointment to be cancelled even as late as after our arrival on site if our licensed drone operator determines that it is not safe or possible to fly.
- Weather Policy: We do not take responsibility for the weather. If you feel that you need to reschedule due to poor weather conditions, you have the option of rescheduling the appointment as per our cancellation policy mentioned above, or you can have a photographer sent for a second appointment to capture exterior images at a cost of $65. We shoot in all kinds of weather and always do our best at making the photos look great regardless of what the weather is like.
[Attached: calculated crystals]
~~~
# 1
TaSi23: computed X-ray powder pattern (Cu Ka), based on a cell relaxed with PBE.

Crystal structure
```
48
Lattice="10.1791 0.0000 0.0000 0.0000 10.1791 0.0000 0.0000 0.0000 10.1791" Properties=species:S:1:pos:R:3 pbc="T T T"
Ta 0.0000 0.0000 0.0000
Ta 5.0895 5.0895 5.0895
Si 0.0000 1.1795 3.1352
Si 0.0000 1.1795 7.0438
Si 0.0000 2.5448 5.0895
Si 0.0000 7.6343 5.0895
Si 0.0000 8.9996 3.1352
Si 0.0000 8.9996 7.0438
Si 1.1795 3.1352 0.0000
Si 1.1795 7.0438 0.0000
Si 1.8402 1.8402 1.8402
Si 1.8402 1.8402 8.3389
Si 1.8402 8.3389 1.8402
Si 1.8402 8.3389 8.3389
Si 1.9543 3.9100 5.0895
Si 1.9543 6.2691 5.0895
Si 2.5448 5.0895 0.0000
Si 3.1352 0.0000 1.1795
Si 3.1352 0.0000 8.9996
Si 3.2494 3.2494 3.2494
Si 3.2494 3.2494 6.9297
Si 3.2494 6.9297 3.2494
Si 3.2494 6.9297 6.9297
Si 3.9100 5.0895 1.9543
Si 3.9100 5.0895 8.2248
Si 5.0895 0.0000 2.5448
Si 5.0895 0.0000 7.6343
Si 5.0895 1.9543 3.9100
Si 5.0895 1.9543 6.2691
Si 5.0895 8.2248 3.9100
Si 5.0895 8.2248 6.2691
Si 6.2691 5.0895 1.9543
Si 6.2691 5.0895 8.2248
Si 6.9297 3.2494 3.2494
Si 6.9297 3.2494 6.9297
Si 6.9297 6.9297 3.2494
Si 6.9297 6.9297 6.9297
Si 7.0438 0.0000 1.1795
Si 7.0438 0.0000 8.9996
Si 7.6343 5.0895 0.0000
Si 8.2248 3.9100 5.0895
Si 8.2248 6.2691 5.0895
Si 8.3389 1.8402 1.8402
Si 8.3389 1.8402 8.3389
Si 8.3389 8.3389 1.8402
Si 8.3389 8.3389 8.3389
Si 8.9996 3.1352 0.0000
Si 8.9996 7.0438 0.0000
```

Most intense lines, 15 to 90 degrees two-theta, low angle first:
- 19.5 deg, 4.552 Å, I 22.2
- 24.7 deg, 3.599 Å, I 13.7
- 27.7 deg, 3.219 Å, I 16.7
- 32.9 deg, 2.720 Å, I 100.0
- 37.5 deg, 2.399 Å, I 29.9
- 39.6 deg, 2.276 Å, I 10.9
- 45.4 deg, 1.996 Å, I 17.7
- 54.1 deg, 1.697 Å, I 18.2
- 55.7 deg, 1.651 Å, I 39.3
- 67.6 deg, 1.385 Å, I 13.0
- 73.2 deg, 1.293 Å, I 12.1
- 89.2 deg, 1.098 Å, I 11.0

# 2
Pm6Bi2Pb: computed X-ray powder pattern (Cu Ka), based on a cell relaxed with PBE.

Crystal structure
```
9
Lattice="4.4537 0.0000 0.0000 0.0000 7.5330 4.3478 0.0000 -7.5330 4.3478" Properties=species:S:1:pos:R:3 pbc="T T T"
Pm 0.0000 0.0000 0.0000
Pm 0.0000 -1.9562 5.2968
Pm 0.0000 1.9562 5.2968
Pm 2.2269 -4.4645 3.8523
Pm 2.2269 0.0000 2.8864
Pm 2.2269 4.4645 3.8523
Bi 0.0000 -2.5146 2.0806
Bi 0.0000 2.5146 2.0806
Pb 2.2269 0.0000 6.4343
```

Most intense lines, 15 to 90 degrees two-theta, low angle first:
- 20.4 deg, 4.348 Å, I 13.9
- 28.7 deg, 3.111 Å, I 78.0
- 31.1 deg, 2.876 Å, I 100.0
- 31.4 deg, 2.847 Å, I 36.4
- 35.8 deg, 2.511 Å, I 53.6
- 37.5 deg, 2.399 Å, I 46.5
- 40.5 deg, 2.227 Å, I 27.5
- 52.1 deg, 1.754 Å, I 17.6
- 55.1 deg, 1.666 Å, I 31.5
- 55.9 deg, 1.644 Å, I 11.8
- 57.2 deg, 1.611 Å, I 40.5
- 86.4 deg, 1.126 Å, I 13.2

# 3
Ca2AcSi2: computed X-ray powder pattern (Cu Ka), based on a cell relaxed with PBE.

Crystal structure
```
10
Lattice="5.3433 0.0000 0.0000 0.0000 4.5457 0.0000 -0.9186 0.0000 11.9381" Properties=species:S:1:pos:R:3 pbc="T T T"
Ca 0.5897 1.1364 1.2779
Ca 0.8502 3.4093 6.0238
Ca 3.5745 1.1364 5.9142
Ca 3.8350 3.4093 10.6602
Ac 1.2156 1.1364 9.1330
~~~
- Payments: For pre-paid customers, if you have a pre-paid appointment and the final amount is different than what was originally charged to your credit card (i.e. square footage higher than predicted, additional services added…etc.), we will automatically process your credit card after the appointment for the difference owed. We will notify you by email that the additional payment has been made. If you are setup to have your brokerage or company cover the charges, we will send an invoice to your accounts payable team after the appointment is completed.
- As a representation of the property, Visual Advantage Inc. does not determine or verify the accuracy of Floor plans, property photos and tour amenities. Visual Advantage Inc. accepts no liability for the accuracy of any of these items. If for any reason litigation arises that causes purchaser of any Visual Advantage Inc. product or service to bring litigation against Visual Advantage Inc. or any of its subsidiaries, affiliates, subcontractors or employees, it is hereby agreed that the maximum damages that could be awarded to those utilizing Visual Advantage Inc.’s visualization services and/or platform would be a total amount not greater than the amount paid to Visual Advantage Inc.
Real Estate Agent packages are solely for the purpose of marketing a resale home.
The photography and any additional work delivered to the real estate agent under these packages and license are not to be used commercially or for any other uses other than on MLS, personal Real Estate Agent Website and marketing related uses for the purpose of selling a home.
All other uses are strictly prohibited and fall under our Commercial license agreements: including but not limited to Model Homes, Rental business, Insurance, Advertising uses outside of marketing the home for resale.
All rights not expressly granted are reserved to Visual Advantage Inc., including but not limited to all rights in preliminary materials and all nonelectronic rights. You cannot share or resale our images/work to another agent or third party. Any other parties interested in using our work will need to obtain/purchase the right from Visual Advantage Inc. to do so.
Additional Usage: If you wish to make any additional uses of the work, you will need to seek permission from Visual Advantage Inc. and make such payments as are agreed to between the parties at that time.
**The entry is interrupted by crystal structures:**
+++
Entry 1:
# V3As2H4O13
Simulated X-ray diffraction stick pattern, Cu Ka. Input: DFT lattice parameters and positions (GGA+U).
Kinematic intensities with the Lorentz-polarization factor, no thermal factor.

Most intense lines, 2θ from 10° to 90°, by angle:
2θ (°)  Rel. int.
14.96  50
15.71  38
17.66  63
21.50  100
23.48  52
23.65  28
29.31  87
30.18  25
30.41  75
31.09  63
31.73  53
35.28  21

Structural model:
a = 5.2513 Å, b = 7.9904 Å, c = 12.6200 Å
α = 71.55°, β = 80.67°, γ = 85.65°
Space group P-1 (No. 2)
Inequivalent atoms, fractional coordinates:
V  0.0166  0.1847  0.1656 (multiplicity 2)
V  0.2514  0.7310  0.2593 (multiplicity 2)
V  0.4826  0.2915  0.3209 (multiplicity 2)
As  0.1835  0.3671  0.8860 (multiplicity 2)
As  0.3241  0.1347  0.6107 (multiplicity 2)
H  0.1553  0.5388  0.6093 (multiplicity 2)
H  0.2460  0.7138  0.5065 (multiplicity 2)
H  0.2497  0.7968  0.0014 (multiplicity 2)
H  0.3356  0.9765  0.8977 (multiplicity 2)
O  0.1065  0.2789  0.6549 (multiplicity 2)
O  0.1192  0.6812  0.1306 (multiplicity 2)
O  0.1670  0.9878  0.1742 (multiplicity 2)
O  0.1828  0.3453  0.0258 (multiplicity 2)
O  0.2318  0.6549  0.5895 (multiplicity 2)
O  0.2419  0.5889  0.8121 (multiplicity 2)
O  0.2574  0.9152  0.6903 (multiplicity 2)
O  0.2587  0.2526  0.2486 (multiplicity 2)
O  0.2702  0.8558  0.9177 (multiplicity 2)
O  0.3201  0.1529  0.4734 (multiplicity 2)
O  0.3312  0.5165  0.3276 (multiplicity 2)
O  0.3687  0.8261  0.3723 (multiplicity 2)
O  0.4079  0.2200  0.8478 (multiplicity 2)


Entry 2:
# VAs2H4O9
Simulated X-ray diffraction stick pattern, Cu Ka. Input: DFT lattice parameters and positions (GGA+U).
Kinematic intensities with the Lorentz-polarization factor, no thermal factor.

Most intense lines, 2θ from 10° to 90°, by angle:
2θ (°)  Rel. int.
18.79  21
21.64  84
23.68  100
26.69  59
28.81  52
29.91  30
34.61  35
40.89  61
52.04  36
61.53  21
69.59  20
74.65  21

Structural model:
a = 9.4476 Å, b = 9.4476 Å, c = 8.2136 Å
α = 90.00°, β = 90.00°, γ = 90.00°
Space group I4cm (No. 108)
Inequivalent atoms, fractional coordinates:
V  0.0000  0.0000  0.0000 (multiplicity 4)
As  0.2021  0.2979  0.4595 (multiplicity 8)
H  0.1359  0.3641  0.7259 (multiplicity 8)
H  0.1376  0.3624  0.1918 (multiplicity 8)
O  0.0000  0.0000  0.2015 (multiplicity 4)
O  0.1121  0.3879  0.6127 (multiplicity 8)
O  0.1131  0.3869  0.3048 (multiplicity 8)
O  0.1190  0.1781  0.9592 (multiplicity 16)


Entry 3:
# K2Mn3As3O12
Simulated X-ray diffraction stick pattern, Cu Ka. Input: DFT lattice parameters and positions (GGA+U).
Kinematic intensities with the Lorentz-polarization factor, no thermal factor.

Most intense lines, 2θ from 10° to 90°, by angle:
2θ (°)  Rel. int.
13.23  31
26.17  28
27.40  16
28.80  49
30.92  100
31.09  49
32.13  30
32.39  51
43.10  17
47.84  15
51.94  25
55.21  18
+++
All rights not expressly granted are reserved to Visual Advantage Inc., including but not limited to all rights in preliminary materials and all nonelectronic rights. You cannot share or resale our images/work to another agent or third party. Any other parties interested in using our work will need to obtain/purchase the right from Visual Advantage Inc. to do so.
Additional Usage: If you wish to make any additional uses of the work, you will need to seek permission from Visual Advantage Inc. and make such payments as are agreed to between the parties at that time.